What to do.
The reader should copy all of the listing further below exactly.
Data.
=====
Here is a relaxed structure of PuAg2PbO6 from Alexandria. Energies are from PBE.

The structure in POSCAR format:
```
PuAg2PbO6
1.0
4.275 0.000 0.000
0.000 6.173 0.000
0.000 0.000 6.173
Pu Ag Pb O
1 2 1 6
Direct
0.683 0.000 0.000 Pu
0.015 0.500 0.000 Ag
0.015 0.000 0.500 Ag
0.630 0.500 0.500 Pb
0.695 0.226 0.226 O
0.695 0.226 0.774 O
0.134 0.500 0.500 O
0.189 0.000 0.000 O
0.695 0.774 0.774 O
0.695 0.774 0.226 O
```

## Properties
Its total magnetization is 0.99 μB/f.u. Its volume is 16.29 Å³ per atom. Its symmetry is P4mm, No. 99. The calculation puts the formation energy without anion corrections at -1.147 eV per atom.

----------

Here is crystalline Ir6Pb4O19 at its relaxed geometry from Alexandria via LeMat-Bulk. Energies are from PBE.

Cell: 9.3795 9.3795 9.3795 Å, 90.00 90.00 90.00°
Last column: nearest neighbours and their distance in Å.
Space group I23 (No. 197)
Symmetry-distinct sites (fractional):
Ir1 0.0000 0.3399 0.5000 (multiplicity 12)  6 O 1.94-2.02
Pb1 0.1481 0.1481 0.8519 (multiplicity 8)  4 O 2.41-2.67
O1 0.0000 0.0000 0.0000 (multiplicity 2)  4 Pb 2.41
O2 0.0000 0.0000 0.3558 (multiplicity 12)  2 Ir 2.02
O3 0.0029 0.3414 0.2930 (multiplicity 24)  2 Ir 1.94

Formation energy (no corrections) (eV per atom): -0.8651
Volume (Å³/f.u.): 412.58
VASP energy (eV per cell): -374.6
Theoretical density (g/cm3): 9.20
Size of the total moment (Bohr magnetons per cell): 0.0


Here is crystalline IrPb4O2 at its relaxed geometry from Alexandria via LeMat-Bulk. Energies are from PBE.

Cell: 5.2112 5.2112 12.4363 Å, 90.00 90.00 90.00°
Last column: nearest neighbours and their distance in Å.
Space group I4/mmm (No. 139)
Symmetry-distinct sites (fractional):
Ir1 0.0000 0.0000 0.0000 (multiplicity 2)  6 Pb 2.61-2.86
Pb1 0.0000 0.0000 0.2299 (multiplicity 4)  1 O 2.13
Pb2 0.0000 0.5000 0.0000 (multiplicity 4)  2 Ir 2.61, 4 O 2.88
O1 0.0000 0.0000 0.4014 (multiplicity 4)  1 Pb 2.13

Formation energy (no corrections) (eV per atom): -0.0851
Volume (Å³/f.u.): 168.86
VASP energy (eV per cell): -68.4
Theoretical density (g/cm3): 10.35
Size of the total moment (Bohr magnetons per cell): 0.0


Here is crystalline IrPb3O at its relaxed geometry from Alexandria via LeMat-Bulk. Energies are from PBE.

Cell: 5.2620 5.2620 5.2620 Å, 90.00 90.00 90.00°
Last column: nearest neighbours and their distance in Å.
Space group Pm-3m (No. 221)
Symmetry-distinct sites (fractional):
Ir1 0.0000 0.0000 0.0000 (multiplicity 1)  6 Pb 2.63
Pb1 0.0000 0.0000 0.5000 (multiplicity 3)  2 Ir 2.63
O1 0.5000 0.5000 0.5000 (multiplicity 1)  12 Pb 3.72

Formation energy (no corrections) (eV per atom): 0.4437
Volume (Å³/f.u.): 145.70
VASP energy (eV per cell): -22.7
Distance to the lowest polymorph of the same formula (eV/f.u.): 1.247
Theoretical density (g/cm3): 9.46
Size of the total moment (Bohr magnetons per cell): 0.0


Here is crystalline Ir2PbO at its relaxed geometry from Alexandria via LeMat-Bulk. Energies are from PBE.

Cell: 4.8340 4.8340 13.0219 Å, 90.00 90.00 90.00°
Last column: nearest neighbours and their distance in Å.
Space group I-42d (No. 122)
Symmetry-distinct sites (fractional):
Ir1 0.0763 0.2500 0.1250 (multiplicity 8)  2 O 2.06
Pb1 0.0000 0.0000 0.5000 (multiplicity 4)  4 Ir 2.88
O1 0.0000 0.0000 0.0000 (multiplicity 4)  4 Ir 2.06

Formation energy (no corrections) (eV per atom): 0.2072
Volume (Å³/f.u.): 76.07
VASP energy (eV per cell): -102.2
Distance to the lowest polymorph of the same formula (eV/f.u.): 0.000
Theoretical density (g/cm3): 13.26
Size of the total moment (Bohr magnetons per cell): 0.0


Here is crystalline Ir3PbO at its relaxed geometry from Alexandria via LeMat-Bulk. Energies are from PBE.

Cell: 5.0639 5.0639 5.0639 Å, 90.00 90.00 90.00°
Last column: nearest neighbours and their distance in Å.
Space group Pm-3m (No. 221)
Symmetry-distinct sites (fractional):
Ir1 0.0000 0.0000 0.5000 (multiplicity 3)  2 Pb 2.53
Pb1 0.0000 0.0000 0.0000 (multiplicity 1)  6 Ir 2.53
O1 0.5000 0.5000 0.5000 (multiplicity 1)  12 Ir 3.58
=====
Result.
Here is a relaxed structure of PuAg2PbO6 from Alexandria. Energies are from PBE.

The structure in POSCAR format:
```
PuAg2PbO6
1.0
4.275 0.000 0.000
0.000 6.173 0.000
0.000 0.000 6.173
Pu Ag Pb O
1 2 1 6
Direct
0.683 0.000 0.000 Pu
0.015 0.500 0.000 Ag
0.015 0.000 0.500 Ag
0.630 0.500 0.500 Pb
0.695 0.226 0.226 O
0.695 0.226 0.774 O
0.134 0.500 0.500 O
0.189 0.000 0.000 O
0.695 0.774 0.774 O
0.695 0.774 0.226 O
```

## Properties
Its total magnetization is 0.99 μB/f.u. Its volume is 16.29 Å³ per atom. Its symmetry is P4mm, No. 99. The calculation puts the formation energy without anion corrections at -1.147 eV per atom.

----------

Here is crystalline Ir6Pb4O19 at its relaxed geometry from Alexandria via LeMat-Bulk. Energies are from PBE.

Cell: 9.3795 9.3795 9.3795 Å, 90.00 90.00 90.00°
Last column: nearest neighbours and their distance in Å.
Space group I23 (No. 197)
Symmetry-distinct sites (fractional):
Ir1 0.0000 0.3399 0.5000 (multiplicity 12)  6 O 1.94-2.02
Pb1 0.1481 0.1481 0.8519 (multiplicity 8)  4 O 2.41-2.67
O1 0.0000 0.0000 0.0000 (multiplicity 2)  4 Pb 2.41
O2 0.0000 0.0000 0.3558 (multiplicity 12)  2 Ir 2.02
O3 0.0029 0.3414 0.2930 (multiplicity 24)  2 Ir 1.94

Formation energy (no corrections) (eV per atom): -0.8651
Volume (Å³/f.u.): 412.58
VASP energy (eV per cell): -374.6
Theoretical density (g/cm3): 9.20
Size of the total moment (Bohr magnetons per cell): 0.0


Here is crystalline IrPb4O2 at its relaxed geometry from Alexandria via LeMat-Bulk. Energies are from PBE.

Cell: 5.2112 5.2112 12.4363 Å, 90.00 90.00 90.00°
Last column: nearest neighbours and their distance in Å.
Space group I4/mmm (No. 139)
Symmetry-distinct sites (fractional):
Ir1 0.0000 0.0000 0.0000 (multiplicity 2)  6 Pb 2.61-2.86
Pb1 0.0000 0.0000 0.2299 (multiplicity 4)  1 O 2.13
Pb2 0.0000 0.5000 0.0000 (multiplicity 4)  2 Ir 2.61, 4 O 2.88
O1 0.0000 0.0000 0.4014 (multiplicity 4)  1 Pb 2.13

Formation energy (no corrections) (eV per atom): -0.0851
Volume (Å³/f.u.): 168.86
VASP energy (eV per cell): -68.4
Theoretical density (g/cm3): 10.35
Size of the total moment (Bohr magnetons per cell): 0.0


Here is crystalline IrPb3O at its relaxed geometry from Alexandria via LeMat-Bulk. Energies are from PBE.

Cell: 5.2620 5.2620 5.2620 Å, 90.00 90.00 90.00°
Last column: nearest neighbours and their distance in Å.
Space group Pm-3m (No. 221)
Symmetry-distinct sites (fractional):
Ir1 0.0000 0.0000 0.0000 (multiplicity 1)  6 Pb 2.63
Pb1 0.0000 0.0000 0.5000 (multiplicity 3)  2 Ir 2.63
O1 0.5000 0.5000 0.5000 (multiplicity 1)  12 Pb 3.72

Formation energy (no corrections) (eV per atom): 0.4437
Volume (Å³/f.u.): 145.70
VASP energy (eV per cell): -22.7
Distance to the lowest polymorph of the same formula (eV/f.u.): 1.247
Theoretical density (g/cm3): 9.46
Size of the total moment (Bohr magnetons per cell): 0.0


Here is crystalline Ir2PbO at its relaxed geometry from Alexandria via LeMat-Bulk. Energies are from PBE.

Cell: 4.8340 4.8340 13.0219 Å, 90.00 90.00 90.00°
Last column: nearest neighbours and their distance in Å.
Space group I-42d (No. 122)
Symmetry-distinct sites (fractional):
Ir1 0.0763 0.2500 0.1250 (multiplicity 8)  2 O 2.06
Pb1 0.0000 0.0000 0.5000 (multiplicity 4)  4 Ir 2.88
O1 0.0000 0.0000 0.0000 (multiplicity 4)  4 Ir 2.06

Formation energy (no corrections) (eV per atom): 0.2072
Volume (Å³/f.u.): 76.07
VASP energy (eV per cell): -102.2
Distance to the lowest polymorph of the same formula (eV/f.u.): 0.000
Theoretical density (g/cm3): 13.26
Size of the total moment (Bohr magnetons per cell): 0.0


Here is crystalline Ir3PbO at its relaxed geometry from Alexandria via LeMat-Bulk. Energies are from PBE.

Cell: 5.0639 5.0639 5.0639 Å, 90.00 90.00 90.00°
Last column: nearest neighbours and their distance in Å.
Space group Pm-3m (No. 221)
Symmetry-distinct sites (fractional):
Ir1 0.0000 0.0000 0.5000 (multiplicity 3)  2 Pb 2.53
Pb1 0.0000 0.0000 0.0000 (multiplicity 1)  6 Ir 2.53
O1 0.5000 0.5000 0.5000 (multiplicity 1)  12 Ir 3.58